Work order:
The reader should give back the block below from the line with "-4.8652" to the end word for word.

Material:
********
[1]
Here is a 5-piece molecular cluster, C18H30Cl2F8O4 overall from the OMol25 dataset. Energies are from ωB97M-V with the def2-TZVPD basis set.

Geometry as XYZ:
```
62
C18H30Cl2F8O4, DFT ωB97M-V with the def2-TZVPD basis set
C 17.4462 -0.6127 -12.4416
C 18.0618 -1.3060 -13.7129
C 18.5867 -2.7106 -13.4640
F 17.8605 -3.5182 -12.6498
F 19.1195 -3.4762 -14.4045
F 17.1408 -1.2940 -14.7312
F 19.0251 -0.5135 -14.1453
O 18.5602 -0.1588 -11.6761
C 18.8440 1.2878 -11.8780
C 20.2513 1.5832 -11.2121
F 20.5811 2.8959 -11.3994
F 20.3283 1.2804 -9.9382
F 18.7695 1.6412 -13.1688
F 17.9580 2.0301 -11.2123
H 16.9223 -1.3223 -11.8012
H 16.7137 0.1399 -12.7333
H 19.4323 -2.3508 -12.8778
H 20.9432 1.0046 -11.8241
C 14.6514 4.4011 -7.8896
C 15.4136 4.6484 -6.6510
C 14.3919 5.1360 -5.6539
O 13.1529 4.8509 -6.2720
C 13.2381 3.9598 -7.4351
H 15.0878 3.5727 -8.4477
H 14.6068 5.2606 -8.5583
H 16.1679 5.3947 -6.9002
H 15.9293 3.7677 -6.2681
H 14.4318 6.2044 -5.4417
H 14.5289 4.5167 -4.7674
H 12.3675 4.1307 -8.0682
H 13.0943 2.9516 -7.0467
C 20.0417 10.1286 -6.9152
C 19.6437 8.7385 -7.4580
C 20.9975 7.9850 -7.3397
O 21.5529 8.4082 -6.1295
C 21.0472 9.7204 -5.8205
H 19.1994 10.7448 -6.6007
H 20.6558 10.7743 -7.5431
H 19.1495 8.8068 -8.4271
H 18.9218 8.2926 -6.7739
H 21.5016 8.2489 -8.2694
H 20.9121 6.8994 -7.3869
H 21.7718 10.5253 -5.6971
H 20.5540 9.5403 -4.8652
C 14.5129 2.5570 -13.0677
C 15.6327 2.7312 -14.1613
C 14.8748 2.6344 -15.4453
O 13.5243 2.5086 -15.2363
C 13.3497 2.0536 -13.9061
H 14.2961 3.4878 -12.5436
H 14.9627 1.8268 -12.3949
H 16.4223 1.9806 -14.1251
H 16.1249 3.6880 -13.9870
H 15.1655 1.7635 -16.0328
H 15.2306 3.4747 -16.0415
H 13.2989 0.9805 -14.0907
H 12.3968 2.3181 -13.4477
C 17.5926 5.2046 -10.2250
Cl 16.0289 5.3843 -11.0325
Cl 18.5163 6.7523 -10.3049
H 17.4728 4.9318 -9.1765
H 18.1646 4.4544 -10.7710
```

Output
Expectation value of S² ... 0.75
E_LUMO (alpha / beta) ... -3.142 / -9.241 eV
HOMO-LUMO gap (alpha / beta) ... 7.7 / 1.6 eV
Spin multiplicity ... 2
Net charge ... +1

---

[2]
Here is C18H26Br2Cl3N3O4RbS2 as an isolated structure from the OMol25 dataset. Energies are from ωB97M-V with the def2-TZVPD basis set.

Geometry as XYZ:
```
59
C18H26Br2Cl3N3O4RbS2, DFT ωB97M-V with the def2-TZVPD basis set
Rb -0.2134 -4.4009 -1.2726
Br 3.9214 -4.3063 -0.3533
C 3.8612 -6.1995 -0.6927
Br 2.1190 -6.8187 -1.4081
H 4.0123 -6.7287 0.2370
H 4.5984 -6.4427 -1.4438
C 2.3385 2.6979 2.7792
C 1.6542 3.2093 1.5080
C 0.5890 4.2414 1.8994
C 2.7051 3.9337 0.6485
C 0.9637 2.0601 0.7003
O 0.5563 2.6706 -0.5092
C -0.2023 1.3881 1.4822
C -1.6444 1.9241 1.3567
C -2.2479 1.9044 -0.0246
C -2.4068 0.6993 -0.7024
C -2.9466 0.6673 -1.9790
C -3.3407 1.8492 -2.5808
Cl -4.0134 1.8132 -4.1907
C -3.2235 3.0593 -1.9179
C -2.6865 3.0726 -0.6396
C 2.0173 0.9429 0.4272
N 1.5729 -0.1075 -0.4739
C 1.7179 -1.4335 -0.3359
N 1.3302 -2.0499 -1.4363
C 0.9177 -1.0332 -2.2264
N 1.0683 0.1584 -1.6973
H 2.6729 3.5514 3.3733
H 3.2181 2.0917 2.5517
H 1.6608 2.1051 3.3951
H 1.0683 5.1562 2.2556
H -0.0493 3.8639 2.7005
H -0.0300 4.4851 1.0356
H 3.0996 4.7880 1.2037
H 2.2559 4.2880 -0.2766
H 3.5500 3.2914 0.3968
H 0.4001 1.9803 -1.1776
H 0.0574 1.4034 2.5437
H -0.2426 0.3278 1.2231
H -1.7265 2.9297 1.7727
H -2.2456 1.2603 1.9844
H -2.1205 -0.2444 -0.2470
H -3.0633 -0.2786 -2.4919
H -3.5392 3.9756 -2.3989
H -2.5975 4.0197 -0.1187
H 2.2696 0.4509 1.3650
H 2.9125 1.3916 -0.0033
H 2.0740 -1.8957 0.5684
H 0.4915 -1.1734 -3.2065
Cl -1.6757 -7.0340 -1.7320
C -3.0547 -5.9676 -1.4486
Cl -3.0284 -4.6585 -2.6220
H -2.9431 -5.5352 -0.4524
H -3.9636 -6.5434 -1.5714
O -1.5492 -2.4314 -0.5660
S -1.8038 -2.9929 0.7857
O -1.5866 -4.4678 0.7149
O -3.1333 -2.6754 1.2783
S -0.3959 -2.2329 2.0105
```

Output
E_LUMO ... 1.664 eV
HOMO-LUMO gap ... 5.5 eV
Net charge ... -1

---

The records above give, respectively, max |F| values of 0.0733; 0.0477 hartree/bohr.
********

Written answer:
H 20.5540 9.5403 -4.8652
C 14.5129 2.5570 -13.0677
C 15.6327 2.7312 -14.1613
C 14.8748 2.6344 -15.4453
O 13.5243 2.5086 -15.2363
C 13.3497 2.0536 -13.9061
H 14.2961 3.4878 -12.5436
H 14.9627 1.8268 -12.3949
H 16.4223 1.9806 -14.1251
H 16.1249 3.6880 -13.9870
H 15.1655 1.7635 -16.0328
H 15.2306 3.4747 -16.0415
H 13.2989 0.9805 -14.0907
H 12.3968 2.3181 -13.4477
C 17.5926 5.2046 -10.2250
Cl 16.0289 5.3843 -11.0325
Cl 18.5163 6.7523 -10.3049
H 17.4728 4.9318 -9.1765
H 18.1646 4.4544 -10.7710
```

Output
Expectation value of S² ... 0.75
E_LUMO (alpha / beta) ... -3.142 / -9.241 eV
HOMO-LUMO gap (alpha / beta) ... 7.7 / 1.6 eV
Spin multiplicity ... 2
Net charge ... +1

---

[2]
Here is C18H26Br2Cl3N3O4RbS2 as an isolated structure from the OMol25 dataset. Energies are from ωB97M-V with the def2-TZVPD basis set.

Geometry as XYZ:
```
59
C18H26Br2Cl3N3O4RbS2, DFT ωB97M-V with the def2-TZVPD basis set
Rb -0.2134 -4.4009 -1.2726
Br 3.9214 -4.3063 -0.3533
C 3.8612 -6.1995 -0.6927
Br 2.1190 -6.8187 -1.4081
H 4.0123 -6.7287 0.2370
H 4.5984 -6.4427 -1.4438
C 2.3385 2.6979 2.7792
C 1.6542 3.2093 1.5080
C 0.5890 4.2414 1.8994
C 2.7051 3.9337 0.6485
C 0.9637 2.0601 0.7003
O 0.5563 2.6706 -0.5092
C -0.2023 1.3881 1.4822
C -1.6444 1.9241 1.3567
C -2.2479 1.9044 -0.0246
C -2.4068 0.6993 -0.7024
C -2.9466 0.6673 -1.9790
C -3.3407 1.8492 -2.5808
Cl -4.0134 1.8132 -4.1907
C -3.2235 3.0593 -1.9179
C -2.6865 3.0726 -0.6396
C 2.0173 0.9429 0.4272
N 1.5729 -0.1075 -0.4739
C 1.7179 -1.4335 -0.3359
N 1.3302 -2.0499 -1.4363
C 0.9177 -1.0332 -2.2264
N 1.0683 0.1584 -1.6973
H 2.6729 3.5514 3.3733
H 3.2181 2.0917 2.5517
H 1.6608 2.1051 3.3951
H 1.0683 5.1562 2.2556
H -0.0493 3.8639 2.7005
H -0.0300 4.4851 1.0356
H 3.0996 4.7880 1.2037
H 2.2559 4.2880 -0.2766
H 3.5500 3.2914 0.3968
H 0.4001 1.9803 -1.1776
H 0.0574 1.4034 2.5437
H -0.2426 0.3278 1.2231
H -1.7265 2.9297 1.7727
H -2.2456 1.2603 1.9844
H -2.1205 -0.2444 -0.2470
H -3.0633 -0.2786 -2.4919
H -3.5392 3.9756 -2.3989
H -2.5975 4.0197 -0.1187
H 2.2696 0.4509 1.3650
H 2.9125 1.3916 -0.0033
H 2.0740 -1.8957 0.5684
H 0.4915 -1.1734 -3.2065
Cl -1.6757 -7.0340 -1.7320
C -3.0547 -5.9676 -1.4486
Cl -3.0284 -4.6585 -2.6220
H -2.9431 -5.5352 -0.4524
H -3.9636 -6.5434 -1.5714
O -1.5492 -2.4314 -0.5660
S -1.8038 -2.9929 0.7857
O -1.5866 -4.4678 0.7149
O -3.1333 -2.6754 1.2783
S -0.3959 -2.2329 2.0105
```

Output
E_LUMO ... 1.664 eV
HOMO-LUMO gap ... 5.5 eV
Net charge ... -1

---

The records above give, respectively, max |F| values of 0.0733; 0.0477 hartree/bohr.